A fridge that can request New parts!

It’s 2019 and gone are the days when your refrigerator was merely a simple unit to store leftovers. Today’s smart fridges go much beyond that and with their enhanced artificial intelligence capabilities, provide an unparalleled customer experience. Let’sunder stand just how a smart refrigerator works.

A Fridge that Can Request New parts

What does a smart refrigerator do?

Also known as an Internet refrigerator, a smart fridge is able to recognise and effectively manage the items inside it. Being Internet-enabled, this fridge operates using a barcode or RFID system in order to automatically detect the type of items and track critical information including usage and expiry dates of products stored within.

== Calculated crystals, as found in the file ==
~~~
# GGA-PBE BaTl2Cr2, optimized geometry
data_BaTl2Cr2
_space_group_name_H-M_alt 'P 1'
_space_group_IT_number 1
_cell_length_a 8.660
_cell_length_b 8.660
_cell_length_c 3.310
_cell_angle_alpha 90.00
_cell_angle_beta 90.00
_cell_angle_gamma 90.00
loop_
_space_group_symop_operation_xyz
'x,y,z'
loop_
_atom_site_label
_atom_site_fract_x
_atom_site_fract_y
_atom_site_fract_z
Ba1 0.000 0.000 0.000
Ba2 0.500 0.500 0.000
Tl1 0.184 0.316 0.500
Tl2 0.316 0.816 0.500
Tl3 0.684 0.184 0.500
Tl4 0.816 0.684 0.500
Cr1 0.075 0.575 0.000
Cr2 0.425 0.075 0.000
Cr3 0.575 0.925 0.000
Cr4 0.925 0.425 0.000
# **ΔE to the lowest computed polymorph**: 136 meV per atom
# **Total magnetic moment**: 0.9 μB/cell
# **Final energy**: -4.5977 eV per atom


# GGA-PBE Ba2TlCr, optimized geometry
data_Ba2TlCr
_space_group_name_H-M_alt 'P 1'
_space_group_IT_number 1
_cell_length_a 5.985
_cell_length_b 5.985
_cell_length_c 4.234
_cell_angle_alpha 90.00
_cell_angle_beta 90.00
_cell_angle_gamma 90.00
loop_
_space_group_symop_operation_xyz
'x,y,z'
loop_
_atom_site_label
_atom_site_fract_x
_atom_site_fract_y
_atom_site_fract_z
Ba1 0.000 0.500 0.000
Ba2 0.500 0.000 0.000
Tl1 0.000 0.000 0.500
Cr1 0.500 0.500 0.500
# **ΔE to the lowest computed polymorph**: 22 meV per atom
# **Total magnetic moment**: 4.6 μB/cell
# **Final energy**: -3.7554 eV per atom


# GGA-PBE Ba2TlCr, optimized geometry
data_Ba2TlCr
_space_group_name_H-M_alt 'P 1'
_space_group_IT_number 1
_cell_length_a 8.474
_cell_length_b 8.474
_cell_length_c 8.474
_cell_angle_alpha 95.59
_cell_angle_beta 95.59
_cell_angle_gamma 143.64
loop_
_space_group_symop_operation_xyz
'x,y,z'
loop_
_atom_site_label
_atom_site_fract_x
_atom_site_fract_y
_atom_site_fract_z
Ba1 0.375 0.057 0.182
Ba2 0.807 0.625 0.682
Ba3 0.875 0.193 0.818
Ba4 0.943 0.125 0.318
Tl1 0.250 0.750 0.500
Tl2 0.500 0.500 0.000
Cr1 0.000 0.000 0.000
Cr2 0.750 0.250 0.500
# **ΔE to the lowest computed polymorph**: 518 meV per atom
# **Total magnetic moment**: 0.2 μB/cell
# **Final energy**: -3.2597 eV per atom


# GGA-PBE BaTl2Cr, optimized geometry
data_BaTl2Cr
_space_group_name_H-M_alt 'P 1'
_space_group_IT_number 1
_cell_length_a 7.897
_cell_length_b 7.897
_cell_length_c 7.897
_cell_angle_alpha 150.32
_cell_angle_beta 148.18
_cell_angle_gamma 44.07
loop_
_space_group_symop_operation_xyz
'x,y,z'
loop_
_atom_site_label
_atom_site_fract_x
_atom_site_fract_y
_atom_site_fract_z
Ba1 0.000 0.000 0.000
Tl1 0.368 0.368 0.000
Tl2 0.703 0.203 0.500
Cr1 0.221 0.721 0.500
# **Total magnetic moment**: 4.2 μB/cell
# **Final energy**: -3.8346 eV per atom


# GGA-PBE BaTlCr, optimized geometry
data_BaTlCr
_space_group_name_H-M_alt 'P 1'
_space_group_IT_number 1
_cell_length_a 5.125
_cell_length_b 5.125
_cell_length_c 4.353
_cell_angle_alpha 90.00
_cell_angle_beta 90.00
_cell_angle_gamma 120.00
loop_
_space_group_symop_operation_xyz
'x,y,z'
loop_
_atom_site_label
_atom_site_fract_x
_atom_site_fract_y
_atom_site_fract_z
Ba1 0.000 0.000 0.000
Tl1 0.333 0.667 0.500
Cr1 0.667 0.333 0.500
~~~

The functionality of a smart fridge also extends to managing diagnostic events related to its components. For instance, when the fridge is attached to a network, it can immediately communicate with the manufacturer when the need for as prepare rises. This efficient use of technology can be credited to the Internet of Things, or IoT.

What does IoT contribute to this technology?

The IoT yields benefits not just for the end user, but also the product manufacturer. These include a lower cost of maintenance, enhanced service delivery levels as well as a simplified maintenance procedure. For the consumer, tangible benefits include a smart fridge that lasts longer and functions efficiently. In addition, the user does not require to monitor the appliance on a regular basis to ensure that is it performing optimally.

For the user and manufacturer both, understanding how to maximise the benefits of IoT-enabled appliances is critical, because this application design is fast becoming the norm.

Process description

One of the major advantages of using a smart home appliance is that not just daily usage is easier, but service requests can be managed as well. Whether a part requires replacement can be determined with this emerging technology, and its warranty status determined as well. If a part is under warranty, a replacement can be ordered automatically. The system allows for a work order as well as a payment authorisation request to be created, for those parts which are no longer under warranty.

The smart fridge is thus an exemplary illustration of serverless technology. The components of this programming model include:

Misplaced materials data:
~~~
Compound: BeGeSe
Source: Alexandria
Functional: PBE
Structure: optimized geometry

Cell and atoms, written as extended XYZ:
```
6
Lattice="5.753 0.000 0.000 0.000 3.827 0.000 -0.192 0.000 5.965" Properties=species:S:1:pos:R:3 pbc="T T T"
Be 0.997 0.957 2.374
Be 4.564 2.870 3.591
Ge 2.495 0.957 0.672
Ge 3.067 2.870 5.293
Se 1.114 2.870 3.634
Se 4.448 0.957 2.331
```

## Properties
Space group: No. 11
Spin magnetization in Bohr magnetons per cell: 0.0
Total DFT energy (no corrections) in eV/atom: -4.166
Crystal system: monoclinic


Compound: Be2GeSe4
Source: Alexandria
Functional: PBE
Structure: optimized geometry

Cell and atoms, written as extended XYZ:
```
7
Lattice="-2.748 2.748 6.027 2.748 -2.748 6.027 2.748 2.748 -6.027" Properties=species:S:1:pos:R:3 pbc="T T T"
Be 2.748 0.000 0.000
Be 0.000 2.748 0.000
Ge 0.000 0.000 0.000
Se 1.387 1.387 -1.297
Se 1.361 -1.361 7.324
Se 1.361 1.361 4.731
Se -1.361 1.361 7.324
```

## Properties
Space group: No. 121
Spin magnetization in Bohr magnetons per cell: 0.0
Total DFT energy (no corrections) in eV/atom: -4.124
Crystal system: tetragonal


Compound: BeGeSe3
Source: Alexandria
Functional: PBE
Structure: optimized geometry

Cell and atoms, written as extended XYZ:
```
5
Lattice="4.966 0.000 0.000 0.000 4.966 0.000 0.000 0.000 4.966" Properties=species:S:1:pos:R:3 pbc="T T T"
Be 0.000 0.000 0.000
Ge 2.483 2.483 2.483
Se 0.000 2.483 2.483
Se 2.483 0.000 2.483
Se 2.483 2.483 0.000
```

## Properties
Space group: No. 221
Spin magnetization in Bohr magnetons per cell: 0.0
Total DFT energy (no corrections) in eV/atom: -2.936
Crystal system: cubic


Compound: BeGe3Se
Source: Alexandria
Functional: PBE
Structure: optimized geometry

Cell and atoms, written as extended XYZ:
```
5
Lattice="4.572 0.000 0.000 0.000 4.572 0.000 0.000 0.000 4.572" Properties=species:S:1:pos:R:3 pbc="T T T"
Be 0.000 0.000 0.000
Ge 0.000 0.000 2.286
Ge 0.000 2.286 0.000
Ge 2.286 0.000 0.000
Se 2.286 2.286 2.286
```

## Properties
Space group: No. 221
Spin magnetization in Bohr magnetons per cell: 0.0
Total DFT energy (no corrections) in eV/atom: -3.832
Crystal system: cubic

=====

# 1
# FeTe2Pb

FeTe2Pb after structural relaxation (PBE-GGA, Alexandria via LeMat-Bulk).

Results
**SG**: C2/m
**D(E_F)**: 6.63 states/eV per cell
**Formation energy without anion corrections**: 37.5 kJ/mol of atoms
**Density**: 7.5 Mg/m³
**Calculated volume**: 28.632 Å³ per atom
**E_tot**: -16.9 eV per cell
**Spin magnetization**: 3.205 μB/f.u.

POSCAR file:
```
FeTe2Pb
1.0
3.001 -4.376 0.000
3.001 4.376 0.000
-2.991 0.000 4.360
Fe Te Pb
1 2 1
direct
0.000 0.000 0.000 Fe
0.000 0.500 0.500 Te
0.500 0.000 0.500 Te
0.500 0.500 0.000 Pb
```

=====

# 2
# Ac2PdS

Ac2PdS after structural relaxation (PBE-GGA, Alexandria via LeMat-Bulk).

Results
**SG**: R-3m
**D(E_F)**: 1.73 states/eV per cell
**Excess energy over the best structure of this formula in the dataset**: 0.00 eV per formula unit
**Formation energy without anion corrections**: -127.7 kJ/mol of atoms
~~~
End of the materials data:

1.Watson IoT Platform on IBM code

2.Apache OpenWhisk on IBM Cloud Functions

3.CloudantNoSQL Service on IBM Code

4.SendGrid Email Service on IBM code

On an integrated platform, all these workflows come together to complete a framework that can enhance service levels using the above services.

Process flow

The process flow illustrated below is how the system functions.

  1. The refrigerator periodically sends an MQTT message with a JSON pay loadtotheWatsonIoT PlatformserviceonIBMCloud.
  2. The message triggers a piece of business logic called an action, that is written in JavaScript to execute on the OpenWhisk platform.
  3. The first action analyses the message to see whether, for example, the filter life reading is within an acceptable range. If the reading is normal, no further processing is done, which provides a highly efficient and cost-effective workflow. If the part needs to be replaced, the action creates a service reportinaCloudantdatabase.
  4. Another action, which is triggered by the creation of that new service report, looks up the customer and appliance registration information to determine whether the appliance is under warranty. If it is under warranty, the action automatically orders the replacement part and sends an email notification about the status of the appliance to the customer.No further customer input is needed. If the appliance is not under warranty, a pending order is created and a payment authorisation request is sent to the customer. When payment is authorised, the pending order is automatically sent for completion.
  5. A final action alerts the customer by email about the status of the appliance.This action is triggered by the creation of the replacement part order. When the appliance warranty is within 30 days of expiring, an overnight batch job triggers an email notification to alert the customer that the warranty is about to run out.


Pattern creation

Know at length how this serverless technology gives rise to smart appliances that result in ease of operations. Find the detailed steps for this pattern in theREADME.

Addition aluses for smart technology

The functionality of being able to communicate regarding spares is onefacet of what this technology can offer. Additionally, a smart fridge scan provides value-added features including internal cameras and flexible user-controlled options. Technology is advancing such that a fridge can communicate with other devices in the home, for instance, a microwave, dishwasher and even a music system.


Some smart refrigerators offer a touch screen interface and via Internet connectivity can perform functions including looking up recipes and reading out the instructions, creating grocery lists that can be synced with a smartphone and even customise the temperature by drawer or compartment. Good-to-have features such as providing alerts when the water filter needs changing and being able to turn the ice maker offer on from a smartphone can also be activated.

In conclusion

A smart fridge and the technology it adopts indeed make for an interesting package. It is the perfect example of marrying user requirements with those of the manufacturer to deliver a product that automatically takes care of things. This, in turn, ensures that at the user and manufacturer end both, productivity need not be expended don’t ask that otherwise can be seamlessly carried out without intervention.